
Visas + Immigration

Family and spouse visas in Japan

Want your loved ones to join you in Japan? Find out more about the types of family and spouse visas, how to apply, and what entitlements these allow.

spouse visa japan

By Ed Gould

Updated 25-3-2024

If you live in Japan (日本, Nihon/Nippon), whether on a work visa, with permanent residency, or as a naturalized citizen, you may want your family to join you indefinitely. If they relocate to live with you, they would need to apply for a family or spouse visa to comply with Japanese immigration policies. This will also give them the right to attend school, study, or work.

Discover how to apply for a family or spouse visa in Japan by exploring the following topics:

Family and spouse visas in Japan

In Japan, the family visa (家族滞在ビザ, kazoku taizai biza) category allows foreign nationals to join their loved ones already living in the country. According to the Ministry of Foreign Affairs (MOFA – 外務省, Gaimu Sho), Japan issued 90,306 visas in 2021, which was lower than usual due to the country’s COVID-19 restrictions. It does not specify the number of family visas. Immigrants (移民, imin) come from across the world, including Vietnam, China, the US, the Philippines, South Korea, Russia, Brazil, Indonesia, the UK, and India.

Siblings (brother and sister) walking around an airport with their luggage
Photo: Tatsushi Takada/Getty Images

MOFA is the government (政府, seifu) department that manages and issues family visas in Japan and organizes these into three categories:

  • Dependent family (扶養家族, fuyo kazoku) of a work visa (就労ビザ, shuro biza) holder (家族滞在, kazoku taizai)
  • Spouse or child (配偶者/子, haigusha/ko) of a Japanese national (日本人の配偶者等, nihon-jin no haigusha to)
  • Spouse of a permanent resident (永住者, eiju sha) (永住者の配偶者等, eiju-sha no haigusha to)

Compared to other countries, strict immigration policies can make applying for a family or spouse visa in Japan challenging. The difficulty level depends on various factors, including the applicant’s relationship with the sponsor, their financial status, or the sponsor’s ability to support the applicant.

Which documents do you need to supply?

To successfully apply for a Japanese family visa, applicants must also provide a range of documents, such as:

== What comes next are calculated crystals, not part of the article ==
=====
[1]
Entry from Materials Project: Cs4PbCl6 after structural relaxation (meta-GGA r2SCAN).

V: 38.59 Å³/atom
calculated total energy: -19.576 eV/atom
SG: R-3c (167)
energy of formation from the pure elements: -1.972 eV per atom

Cell: 9.471 9.471 9.471 Å, 88.79 88.79 88.79°
Atoms (fractional coordinates):
Cs 0.250 0.250 0.250
Cs 0.750 0.750 0.750
Cs 0.877 0.623 0.250
Cs 0.250 0.877 0.623
Cs 0.623 0.250 0.877
Cs 0.750 0.123 0.377
Cs 0.377 0.750 0.123
Cs 0.123 0.377 0.750
Pb 0.500 0.500 0.500
Pb 0.000 0.000 0.000
Cl 0.209 0.562 0.426
Cl 0.426 0.209 0.562
Cl 0.562 0.426 0.209
Cl 0.926 0.062 0.709
Cl 0.709 0.926 0.062
Cl 0.062 0.709 0.926
Cl 0.791 0.438 0.574
Cl 0.574 0.791 0.438
Cl 0.438 0.574 0.791
Cl 0.074 0.938 0.291
Cl 0.291 0.074 0.938
Cl 0.938 0.291 0.074



[2]
Entry from Materials Project: WCl2 after structural relaxation (meta-GGA r2SCAN).

V: 26.74 Å³/atom
calculated total energy: -22.049 eV/atom
SG: Cmce (64)
energy of formation from the pure elements: -0.825 eV per atom

Cell: 9.323 9.323 11.428 Å, 90.00 90.00 104.23°
Atoms (fractional coordinates):
W 0.126 0.874 0.000
W 0.874 0.126 0.000
W 0.374 0.626 0.500
W 0.626 0.374 0.500
W 0.432 0.432 0.354
W 0.568 0.568 0.646
W 0.068 0.068 0.854
W 0.932 0.932 0.146
W 0.146 0.146 0.068
W 0.854 0.854 0.932
W 0.354 0.354 0.568
W 0.646 0.646 0.432
Cl 0.288 0.712 0.000
Cl 0.712 0.288 0.000
Cl 0.212 0.788 0.500
Cl 0.788 0.212 0.500
Cl 0.195 0.956 0.207
Cl 0.805 0.044 0.793
Cl 0.305 0.544 0.707
Cl 0.456 0.695 0.293
Cl 0.695 0.456 0.293
Cl 0.544 0.305 0.707
Cl 0.044 0.805 0.793
Cl 0.956 0.195 0.207
Cl 0.350 0.350 0.149
Cl 0.650 0.650 0.851
Cl 0.150 0.150 0.649
Cl 0.850 0.850 0.351
Cl 0.674 0.913 0.075
Cl 0.326 0.087 0.925
Cl 0.826 0.587 0.575
Cl 0.413 0.174 0.425
Cl 0.174 0.413 0.425
Cl 0.587 0.826 0.575
Cl 0.087 0.326 0.925
Cl 0.913 0.674 0.075



[3]
Entry from Materials Project: AlNi2O4 after structural relaxation (meta-GGA r2SCAN).

V: 9.46 Å³/atom
calculated total energy: -9.688 eV/atom
SG: Fd-3m (227)
energy of formation from the pure elements: -1.890 eV per atom

Cell: 5.721 5.721 5.721 Å, 60.00 60.00 60.00°
Atoms (fractional coordinates):
Al 0.750 0.750 0.750
Al 0.500 0.500 0.500
Ni 0.125 0.625 0.125
Ni 0.125 0.125 0.625
Ni 0.625 0.125 0.125
Ni 0.125 0.125 0.125
O 0.366 0.878 0.878
O 0.878 0.878 0.878
O 0.372 0.884 0.372
O 0.372 0.372 0.884
O 0.878 0.878 0.366
O 0.878 0.366 0.878
O 0.884 0.372 0.372
O 0.372 0.372 0.372



[4]
Entry from Materials Project: DySiAg after structural relaxation (meta-GGA r2SCAN).

V: 19.83 Å³/atom
calculated total energy: -21.350 eV/atom
SG: P-62m (189)
energy of formation from the pure elements: -0.646 eV per atom

Cell: 7.019 7.019 4.183 Å, 90.00 90.00 120.00°
Atoms (fractional coordinates):
Dy 0.418 0.418 0.500
Dy 0.582 0.000 0.500
Dy 0.000 0.582 0.500
Si 0.667 0.333 0.000
Si 0.333 0.667 0.000
Si 0.000 0.000 0.500
Ag 0.750 0.750 0.000
Ag 0.250 0.000 0.000
Ag 0.000 0.250 0.000



[5]
Entry from Materials Project: Ni5Ge3 after structural relaxation (meta-GGA r2SCAN).
=====

  • Marriage (結婚証明書, kekkon shomei sho) or birth certificates (出生証明書, shussho shomei sho) (or proof of legal adoption – 特別養子縁組, tokubetsu yoshi engumi)
  • Proof of financial stability (e.g., bank accounts or employment contracts)
  • Proof of permanent residence in Japan (e.g., residence card (在留カード, zairyu kado) or passport)

The visa authority can take several months to process applications (申請, shinsei), so it is best to start the process as soon as you decide to join the sponsor for longer than 90 days.

Who can move to Japan to join their family?

Who doesn’t require a family or a spouse visa?

Individuals not requiring family visas in Japan include those already holding a different type of visa. For example, a work or student visa (留学ビザ, ryugaku biza) would allow them to reside independently in Japan even if they join their family living there. Additionally, citizens of countries with a visa waiver agreement (ビザ免除協定, biza menjo kyotei) can enter and stay in Japan – visa-free – for up to 90 days. However, this option does not permit long-term residence or employment.

Who needs a family or spouse visa?

Close family members of Japanese citizens or permanent residents are eligible to move to the country under the family visa category. Spouse visas (配偶者等ビザ, haigusha to biza) in Japan cover husbands, wives, and civil partners, while children (by birth or adoption) can join the sponsor on dependent family visas. However, other dependent family members, such as parents or siblings, may also apply under specific circumstances.

Parents playing with a small child in their new apartment full of moving boxes
Photo: Witthaya Prasongsin/Getty Images

All applicants must demonstrate a genuine relationship with their sponsoring family member and provide proof of financial stability by submitting supporting documents. Consequently, the Japanese government carefully evaluates each application to ensure that the applicant meets all requirements and that the family member residing in Japan can adequately support them.

How to apply for a spouse or family visa

The application process is the same for all types of family visas. Only the supporting documents may differ depending on the familial relationship. Generally, you need to follow these steps:

  • First, the sponsor must request a Certificate of Eligibility (COE – 在留資格認定証明書, zairyu shikaku nintei shomei-sho) from the Ministry of Justice (MOJ – 法務省, Homu Sho) to prove you both meet the visa requirements
  • Next, the family member can apply via the Japanese embassy (日本大使館, Nihon Taishi-kan) in their home country or with the regional bureau of the Immigration Services Agency of Japan (ISA – 出入国在留管理庁, Shutsu-nyukoku Zairyu Kanri-Cho)

Also, remember to include the following documents with your application:

  • Passport (パスポート, pasupoto) of applicant (country of origin)
  • Residence, citizenship, or visa status of the sponsor living in Japan (e.g., Japanese passport or residence card)
  • Proof of relationship status (e.g., marriage, birth, or adoption certificate)
  • The COE
  • Passport photo
  • Application fee

Costs of family visas

Fees may vary – if you apply through a Japanese consulate (日本総領事館, Nihon So Ryoji-kan) outside the country – but expect to pay between ¥3,000 (single entry) and ¥6,000 (multiple entry).

Japanese family visa types

Below are the categories of family or spouse visas in Japan:

Each type of family visa is valid for varied durations and affords the holder slightly different entitlements:

Spouse/children of Japanese nationalsResidency, work, and study without any specific restrictions

Access to public services, such as healthcare and education
One year but can be extended
Spouses/children of permanent residentsResidency, work, and study without any specific restrictions

Access to public services, such as healthcare and education
Six months to five years
Spouses of long-term residentsResidency, but may have restrictions on work, and study options

Access to public services, such as healthcare and education
Six months to five years
Other dependent family membersResidency status while living with their sponsoring family member

Allowed to enroll in the education system and language classes

Only limited employment options
Up to five years

Short-term visits to family members in Japan

A short-term stay visa (短期滞在ビザ, tanki taizai biza) is usually appropriate for non-compensatory visits (under three months/90 days) to family members in Japan. This visa does not allow you to work or study in the country. You can apply at your local Japanese embassy or consulate before travelling to Japan.

Remember to take along the required documents with you, including:

On a balcony, one mom hangs up the washing, while the other mom holds their baby
Photo: Tayutau/Getty Images

Spouses, partners, or dependent children who want to stay in Japan for longer than 90 days but shorter than 12 months should instead apply for a dependent family visa. It permits residence in Japan with the sponsor if they have a work visa, permanent residency, or citizenship. However, there will be restrictions on the applicants’ ability to work or study.

Citizens of countries with visa waiver agreements (e.g., Italy, the Netherlands, and Switzerland) can enter Japan without a visa for short visits.

Visiting family members in Japan who only have a temporary visa

Spouses or partners and children may use the dependent family visa to join a family member who resides temporarily in Japan on a work or student visa. Of course, the sponsor must provide proof of their financial ability (e.g., bank account or employment contract) to cover their dependents’ cost of living for the duration of their stay.

Joining refugees or asylum seekers in Japan on family visas

The Japan Immigration Bureau manages refugee applications (難民認定申請, nanmin nintei shinsei), mostly accepting asylum seekers (亡命希望者, bomei kibo-sha) from Myanmar, Turkey, Cambodia, Sri Lanka, and Pakistan.

Even though the country accepts refugees (難民, nanmin) and asylum seekers, its policies are stringent. For instance, out of 3,722 applicants in 2022, the government only approved 202 applications.

A family of Ukrainian refugees arrives at Haneda Airport in Tokyo
Ukrainian refugees arrive at Haneda Airport (羽田空港, Haneda Kuko) in Tokyo (Photo: Carl Court/Getty Images)

Consequently, it is even more difficult for a registered refugee’s spouse or children to join them in Japan. Nonetheless, they should use the dependent family visa to apply. Other visas may be issued, depending on the specific circumstances. As such, it would be advisable to seek specialist professional advice from a Japanese immigration lawyer (移民法弁護士, imin-ho bengoshi) to improve the success rate of the application.

When family members arrive on a family or spouse visa in Japan

Once you have joined your sponsoring family member, you must register your residency status within 14 days of moving to Japan at your local municipal office. You will be issued a residence card (在留カード, zairyu kado), which you need to carry with you at all times as proof of your immigration status.

The card will include the following:

  • Full names
  • Registered home address
  • Visa/residency status
  • Duration of stay/expiration date

What do you do following the death or divorce of a family member?

In the event of divorce (離婚, rikon) or death (死亡, shibo) of the sponsoring family member, visa holders should immediately contact the Immigration Services Agency of Japan (ISA). Depending on their circumstances, they may need to change their visa status or apply for a visa extension.

Complaints and appeals

In Japan, if your visa application is denied, you may submit a written objection to ISA within two months of the rejection. It’s essential to provide valid reasons and supporting documents to strengthen your case. Furthermore, consulting an immigration lawyer is advisable in preparing an effective appeal.

Useful resources

  • Ministry of Foreign Affairs (MOFA – 外務省, Gaimu Sho) – the government department governing foreign policy and consular services and lists Japanese embassies worldwide
  • Ministry of Justice (MOJ – 法務省, Homu Sho) – oversees work immigration policies
  • Immigration Services Agency of Japan (ISA – 出入国在留管理庁, Shutsu-nyukoku Zairyu Kanri-Cho) – official information about immigration and visas in Japan
  • Legal Affairs Bureau (法務局, Homu Kyoku) – oversees civil administration affairs, including family registers